Brief:
Could you filter the calculation results further down: keep the lines with the word "C3H4CrLiO3"?
Material:
DFT (ωB97M-V/def2-TZVPD) results for a structure of composition C19H28BiF8N7O2PS2Te.

Properties
LUMO: -4.516 eV
charge: +1
ΔE to the lowest compared entry with this formula, charge and spin: 0.4964 eV

Geometry as XYZ:
```
69
C19H28BiF8N7O2PS2Te, DFT ωB97M-V/def2-TZVPD
Bi 1.026 0.960 2.202
F -3.101 2.715 5.440
C -2.874 1.480 5.911
F -1.871 1.559 6.795
F -3.972 1.102 6.582
C -2.558 0.516 4.795
C -3.379 -0.568 4.555
C -3.083 -1.450 3.525
C -1.955 -1.202 2.772
N -1.163 -0.153 2.990
C -1.435 0.709 3.977
S -0.311 2.042 4.119
H -4.249 -0.725 5.178
H -3.707 -2.307 3.324
H -1.653 -1.859 1.964
C 0.192 -4.597 -1.252
N 0.436 -3.277 -1.833
C 1.855 -3.188 -2.200
N 2.771 -3.473 -1.100
C 2.448 -4.788 -0.552
N 1.058 -4.918 -0.123
C 0.773 -4.073 1.033
P 1.027 -2.255 0.703
C 0.076 -2.214 -0.893
C 2.713 -2.437 -0.070
H 0.361 -5.344 -2.030
H -0.851 -4.660 -0.935
H 2.056 -2.185 -2.583
H 2.045 -3.913 -2.994
H 3.106 -4.994 0.294
H 2.634 -5.536 -1.325
H 1.411 -4.377 1.867
H -0.261 -4.243 1.349
H 0.265 -1.247 -1.362
H -0.994 -2.286 -0.669
H 3.441 -2.668 0.711
H 2.992 -1.475 -0.501
C 3.798 2.856 -0.682
N 2.825 2.373 -1.667
C 2.725 2.930 -2.890
C 1.823 2.491 -3.800
C 0.988 1.423 -3.385
N 1.042 0.900 -2.170
C 1.975 1.337 -1.291
O 2.125 0.836 -0.169
N 0.060 0.910 -4.230
H 4.306 3.721 -1.099
H 4.522 2.074 -0.463
H 3.279 3.127 0.234
H 3.415 3.735 -3.102
H 1.761 2.925 -4.785
H 0.109 1.139 -5.208
H -0.325 0.011 -3.990
F 0.575 3.853 -0.534
Te -1.009 3.374 0.321
F 1.873 2.820 1.996
F -1.680 4.963 -0.394
F -2.747 3.083 0.951
F -0.582 4.309 1.825
O -0.475 1.688 0.745
C -2.296 0.818 -1.422
S -1.787 2.478 -1.896
C -3.384 3.294 -2.090
H -2.844 0.403 -2.267
H -2.918 0.860 -0.531
H -1.386 0.255 -1.234
H -3.960 3.223 -1.172
H -3.887 2.788 -2.912
H -3.190 4.330 -2.349
```

Which charges does Löwdin predict for the atoms? In e, they are: 1.62 0.14 -0.61 0.14 0.14 -0.11 0.02 -0.03 -0.13 -0.10 -0.67 0.64 0.13 0.11 0.08 -0.19 -0.15 -0.19 -0.15 -0.19 -0.15 -0.34 0.96 -0.36 -0.33 0.13 0.13 0.12 0.13 0.13 0.13 0.09 0.08 0.04 0.08 0.09 0.07 0.02 -0.03 -0.03 0.01 -0.41 0.18 -0.50 -0.16 0.16 0.10 0.11 0.07 0.14 0.12 0.11 0.11 -0.35 1.67 -0.58 -0.37 -0.37 -0.33 -0.76 -0.30 0.89 -0.29 0.07 0.06 0.01 0.06 0.07 0.06


ORCA calculation (ωB97M-V/def2-TZVPD) on a 2-piece molecular cluster, C7H13FN overall.

charge	+1
DFT total energy	-428.65917	Ha
HOMO energy (spin up / spin down)	-12.19 / -12.85	eV
energy above the lowest of the compared OMol25 structures with the same formula, charge and spin	590.8	kJ/mol
maximum force	5.63	eV/Å

The geometry in XYZ format:
```
22
Properties=species:S:1:pos:R:3:forces:R:3:lowdin_charge:R:1
C 3.55264 -1.23529 -0.75059 -0.574 -0.012 0.822 0.2113
C 3.03635 -0.41099 -0.02366 1.304 -0.193 -1.110 -0.1228
C -0.73389 -0.00547 1.63690 2.101 0.721 -2.432 -0.0240
C 0.17611 -1.30914 -0.20031 -1.491 1.473 1.608 -0.0612
C -1.70978 0.93810 -1.15033 2.274 4.916 -1.555 0.0551
C 2.58616 0.68348 0.66190 -3.127 1.706 2.824 -0.1044
C 0.13933 0.10721 0.40227 -0.076 -3.359 0.624 -0.2665
N -0.31752 1.09322 -0.60880 1.242 2.656 3.148 0.0182
F 2.33973 1.88327 0.08112 0.520 0.059 -1.348 -0.0055
H 3.94380 -2.08928 -1.25442 0.089 0.112 -0.204 0.0619
H -0.27835 -0.68821 2.26187 0.690 -1.526 1.409 0.0825
H -0.76293 0.89861 2.07585 -0.321 3.173 2.102 0.0536
H -1.69618 -0.27522 1.37845 -2.106 -0.920 -0.466 0.0669
H 0.62533 -2.09630 0.33993 1.220 -0.269 0.997 0.0895
H -0.79224 -1.75643 -0.35404 -1.090 0.355 0.076 0.0962
H 0.54722 -1.24715 -1.12606 1.978 -0.180 -3.660 0.0325
H -2.01838 1.98676 -1.50904 0.252 -1.740 0.481 0.1511
H -1.55721 0.33229 -1.95138 -0.259 -1.858 -2.382 0.0726
H -2.36783 0.57730 -0.48089 -1.907 -1.207 2.464 0.0591
H 2.62732 0.99168 1.75705 0.330 -1.634 -1.345 0.1620
H 0.44237 1.15255 -1.26115 0.069 -0.453 -1.441 0.1536
H -0.11575 2.06500 -0.15220 -1.116 -1.820 -0.612 0.2182
```
Forces are in eV/Å.


Here is C3H4CrLiO3 as an isolated structure in a non-equilibrium geometry from OMol25. Energies are from ωB97M-V/def2-TZVPD.

Computed properties:
Solution:
Here is C3H4CrLiO3 as an isolated structure in a non-equilibrium geometry from OMol25. Energies are from ωB97M-V/def2-TZVPD.